Tips For Getting Pregnant Fast
118 Replies
hello all... Me and my fiance have been TTC for a couple months now. I've become very frustrated and I know these things take time. But it almost makes me feel like im a broken toy.. I know that sounds stupid. But he has twin daughters from a previous marriage that will be 4 this August. I love them to death!!! But I want kids of OUR OWN! I just wanted to say everyone's info was very helpful. Im going to try the vitamins and see if that will work.... Please pray for me!! I will keep you all posted. Its nice to know other women out there are going through the same thing as me.
JNW - Welcome to the group and I just wanted to tell you to hang in there. My fiance also have a set of twin boys they will be 7 next month. I'm sure of your age but I am in the same boat we are trying to have a child together as well but I am racing against the clock. I will be 41 tomorrow and he turned 43 in January. I know his ex didn't take any medicine and from what I know she drank hard liquor everyday up until they were born and she smoked weed. One his perfectly healthy and the other one has celbral palsy. He can run and jump and play but we have to help dress him. I just needed to vent about that. It really p__s me off we don't do anything like that and we can't conceive or we have to have the help with medicine. I shouldn't complain because I already have kids but I would love one more. Talk to you soon. Krissy68
Krissy68- Thank you... Its good to finally have somewhere to vent to other women that are going through the same thing. I have to tell u that i can't imgaine how i would handle it if there was something wrong with one of his twins because of his ex. it mush be very hard. Its hard for me jus to be nice to her because of how cold hearted she is. She stole alot of money from him and we had to take her to court MANY times over her not letting him see the girls because she doesn't like me. But anyways..... I will be 24 this Sept. and my fiance is 27. So I now we have time... Its just hard because I've wanted to be a mother for aslong as I can remember. And all my friends have kids or are preganant right now. We are going to keep trying and hopefully it will happen soon. we are getting married Sept.20th.2009 and i am soooooo excited!!!!!! It was good venting!! thnx for taking the time to read this. I will keep praying for u! hope to hear from u soon. God bless all!!!
JNW - How are you doing? You can vent to me anytime you need to. Maybe your fiance and my fiance ex's are related cause she act the same way. I wish she would just move out of state. You will be pg soon just hang in there and keep thinking positive. Talk to you soon. Krissy68
Hey girls I just wanted to give you all a quick update. My temp took a nose dive from yesterday 98.39 to 97.94 so I know AF will be here in a few days I will talk to you all later. Krissy68
Hey ladies I just wanted to give you a update AF found me at 3am. I will talk to you all later. Krissy68
Wow, i finally found somebody that's on the same boat as I am. Thanks. I'm 28 and my hubby and I have been trying for 6 months. We haven't tried everything as I have learned on this blog. this is the first time I hear about Robitussin, what is that for?
EValencia82 - It help with your cervical mucus. Welcome to the group. Krissy68
Does travelling on bike afftects the chance of getting pregnant?
I had a couple of problems also. That's why i couldn't conceive for over 2 years. My doc said i had less than an 8% shot. Can you believe it?
Anyway i did a bit of research and found this site. It made me pregnant within a month. :)
Anyway, see what you make of it... Just copy and paste this into your browser:
Hope it helps u as much as it did me
Jess x
hiya I'm 35 and trying to get pregnant with baby 3, I have a 12 and 13 year olds and would love baby3 with new hubby. I have not taken birth control since I was a teen and have had to use clomid both times before, I'm currently on my first round of 50mg and vitamins. The clomid worked first try both times before so fingers crossed its quick again....good luck to you all
hi all i looked up Robitussin to see what this was is at a cough mixture or have i really found the wrong thing. if it is how does it help please.
## Someone pasted records of crystals at this point
┌──
Entry 1:
# BaIrO3 (PBE, optimized geometry)
# **VASP energy**: -6.588 eV/atom
# **Size of the total moment**: 0.00 μB/atom
data_BaIrO3
_chemical_formula_sum 'Ba1 Ir1 O3'
_cell_length_a 4.0773
_cell_length_b 4.0773
_cell_length_c 4.0773
_cell_angle_alpha 90.00
_cell_angle_beta 90.00
_cell_angle_gamma 90.00
_space_group_name_H-M_alt 'P m -3 m'
_space_group_IT_number 221
_space_group_name_Hall '-P 4 2 3'
loop_
_atom_site_label
_atom_site_type_symbol
_atom_site_fract_x
_atom_site_fract_y
_atom_site_fract_z
Ba1 Ba 0.0000 0.0000 0.0000
Ir1 Ir 0.5000 0.5000 0.5000
O1 O 0.0000 0.5000 0.5000


Entry 2:
# MgZn5 (PBE, optimized geometry)
# **VASP energy**: -1.359 eV/atom
# **Size of the total moment**: 0.00 μB/atom
data_MgZn5
_chemical_formula_sum 'Mg8 Zn40'
_cell_length_a 19.0739
_cell_length_b 5.0423
_cell_length_c 8.8524
_cell_angle_alpha 90.00
_cell_angle_beta 112.85
_cell_angle_gamma 90.00
_space_group_name_H-M_alt 'C 1 2/m 1'
_space_group_IT_number 12
loop_
_space_group_symop_operation_xyz
'x,y,z'
'-x,-y,-z'
'-x,y,-z'
'x,-y,z'
'x+1/2,y+1/2,z'
'-x+1/2,-y+1/2,-z'
'-x+1/2,y+1/2,-z'
'x+1/2,-y+1/2,z'
loop_
_atom_site_label
_atom_site_type_symbol
_atom_site_fract_x
_atom_site_fract_y
_atom_site_fract_z
Mg1 Mg 0.0335 0.0000 0.2021
Mg2 Mg 0.2191 0.0000 0.3736
Zn1 Zn 0.0000 0.0000 0.5000
Zn2 Zn 0.0000 0.5000 0.0000
Zn3 Zn 0.0353 0.5000 0.7046
Zn4 Zn 0.1120 0.0000 0.7790
Zn5 Zn 0.1231 0.5000 0.2881
Zn6 Zn 0.1280 0.2529 0.5403
Zn7 Zn 0.1304 0.2466 0.0382
Zn8 Zn 0.2108 0.5000 0.8745
Zn9 Zn 0.2468 0.0000 0.7645


Entry 3:
# Na3AlH6 (PBE, optimized geometry)
# **VASP energy**: -2.977 eV/atom
data_Na3AlH6
_chemical_formula_sum 'Na6 Al2 H12'
_cell_length_a 5.3458
_cell_length_b 5.5431
_cell_length_c 9.3796
_cell_angle_alpha 90.00
_cell_angle_beta 124.72
_cell_angle_gamma 90.00
_space_group_name_H-M_alt 'P 1 21/c 1'
_space_group_IT_number 14
loop_
_space_group_symop_operation_xyz
'x,y,z'
'-x,-y,-z'
'-x,y+1/2,-z+1/2'
'x,-y+1/2,z+1/2'
loop_
_atom_site_label
_atom_site_type_symbol
_atom_site_fract_x
_atom_site_fract_y
_atom_site_fract_z
Na1 Na 0.0000 0.0000 0.0000
Na2 Na 0.2568 0.0469 0.7461
Al1 Al 0.5000 0.0000 0.5000
H1 H 0.1838 0.0479 0.2838
H2 H 0.2719 0.6692 0.0436
H3 H 0.4031 0.2329 0.0636


Entry 4:
# Mg3Si2 (PBE, optimized geometry)
# **VASP energy**: -3.147 eV/atom
# **Size of the total moment**: 0.00 μB/atom
data_Mg3Si2
_chemical_formula_sum 'Mg3 Si2'
_cell_length_a 4.2797
_cell_length_b 5.2401
_cell_length_c 5.3730
_cell_angle_alpha 97.74
_cell_angle_beta 111.48
_cell_angle_gamma 113.39
_space_group_name_H-M_alt 'P -1'
_space_group_IT_number 2
loop_
_space_group_symop_operation_xyz
'x,y,z'
'-x,-y,-z'
loop_
_atom_site_label
_atom_site_type_symbol
_atom_site_fract_x
_atom_site_fract_y
└──
Chocmundcher, I asked the same question. There is an ingrediant in it, Guaifenesin. It has to have only this one, or get the generic. It helps to thin the CM so the spermies can swim better in it. Google it, very interesting. if you are low or on the dry side, Pre-Seed in a lub for conception.
I asked and looked it up as well and that's what I found out as well, that it thins the mucus, and all of this is interesting isn't it? I also saw that alot were taking the baby aspirin and of course I that was to help the uterus lining not become thin. I wouldn't have thought of any of this had I not read it on here, the aspirin tip is no good for me because I'm allergic but I'm going to try the Robitusin tip next cycle.
Baby dust to all !!!!!!!!!!!!!!
thank you ladies im willing to give anything a go. will try this on my next cycle.i have not read about the baby aspirin can you please tell me how much i would need to take. good luck to all of you.
Hi all! I've read through the threads and it's so nice to be able to talk with others in the same situation.
We've just started trying this month and not telling our family until we're pregnant has been hard! So finding this site and reading everyone's attempts and sucesses is a great feeling.
Lots of baby dust to everyone!!! I look forward to speaking with everyone.